Work order:
Now say how many lines of the calculation results further below hold the word "Ca", as a bare number.

File:
-- begin --
No. 1
This record from the Materials Project database describes an optimized crystal structure of Sr18La2MgRu9O40. The functional is PBE.

a = 5.598 Å, b = 5.594 Å, c = 63.483 Å
α = 90.00°, β = 90.12°, γ = 90.00°
Space group C2/m (No. 12)
Unique sites:
Sr: 0.001 0.000 0.329 [4 per cell]
Sr: 0.001 0.500 0.371 [4 per cell]
Sr: 0.002 0.000 0.129 [4 per cell]
Sr: 0.002 0.000 0.729 [4 per cell]
Sr: 0.002 0.000 0.929 [4 per cell]
Sr: 0.002 0.500 0.029 [4 per cell]
Sr: 0.002 0.500 0.229 [4 per cell]
Sr: 0.003 0.500 0.829 [4 per cell]
Sr: 0.005 0.500 0.429 [4 per cell]
La: 0.033 0.000 0.473 [4 per cell]
Mg: 0.000 0.500 0.500 [2 per cell]
Ru: 0.000 0.000 0.000 [2 per cell]
Ru: 0.000 0.000 0.200 [4 per cell]
Ru: 0.000 0.000 0.400 [4 per cell]
Ru: 0.000 0.500 0.100 [4 per cell]
Ru: 0.001 0.500 0.700 [4 per cell]
O: 0.000 0.000 0.433 [4 per cell]
O: 0.000 0.500 0.067 [4 per cell]
O: 0.000 0.500 0.132 [4 per cell]
O: 0.000 0.500 0.267 [4 per cell]
O: 0.001 0.000 0.167 [4 per cell]
O: 0.001 0.000 0.968 [4 per cell]
O: 0.001 0.500 0.668 [4 per cell]
O: 0.002 0.000 0.632 [4 per cell]
O: 0.002 0.000 0.768 [4 per cell]
O: 0.038 0.500 0.534 [4 per cell]
O: 0.248 0.251 0.400 [8 per cell]
O: 0.249 0.250 0.300 [8 per cell]
O: 0.250 0.250 0.000 [4 per cell]
O: 0.250 0.250 0.100 [8 per cell]
O: 0.250 0.250 0.200 [8 per cell]
O: 0.250 0.250 0.500 [4 per cell]

Output
calculated formation energy: -2.57 eV per atom

=====

No. 2
This record from the Materials Project database describes an optimized crystal structure of Si5Pt6. The functional is PBE.

a = 6.245 Å, b = 3.540 Å, c = 15.606 Å
α = 90.00°, β = 93.52°, γ = 90.00°
Space group P2_1/m (No. 11)
Unique sites:
Si: 0.054 0.250 0.381 [2 per cell]
Si: 0.223 0.750 0.927 [2 per cell]
Si: 0.231 0.750 0.165 [2 per cell]
Si: 0.313 0.250 0.780 [2 per cell]
Si: 0.435 0.250 0.565 [2 per cell]
Pt: 0.009 0.750 0.781 [2 per cell]
Pt: 0.148 0.250 0.052 [2 per cell]
Pt: 0.198 0.750 0.499 [2 per cell]
Pt: 0.280 0.750 0.322 [2 per cell]
Pt: 0.343 0.750 0.674 [2 per cell]
Pt: 0.472 0.250 0.923 [2 per cell]

Output
calculated formation energy: -0.68 eV per atom

=====

No. 3
This record from the Materials Project database describes an optimized crystal structure of InCuO2. The functional is PBE.

a = 3.3650 Å, b = 3.3650 Å, c = 17.4981 Å
α = 90.00°, β = 90.00°, γ = 120.00°
Space group R-3m (No. 166, hexagonal axes)
Unique sites:
In: 0.0000 0.0000 0.0000 [3 per cell]
Cu: 0.0000 0.0000 0.5000 [3 per cell]
O: 0.0000 0.0000 0.3941 [6 per cell]

Output
calculated formation energy: -1.48 eV per atom

=====

No. 4
This record from the Materials Project database describes an optimized crystal structure of ErZn3P3. The functional is PBE.

a = 3.9932 Å, b = 3.9932 Å, c = 19.8368 Å
α = 90.00°, β = 90.00°, γ = 120.00°
Space group P6_3/mmc (No. 194)
Unique sites:
Er: 0.0000 0.0000 0.0000 [2 per cell]
Zn: 0.3333 0.6667 0.1283 [4 per cell]
Zn: 0.3333 0.6667 0.7500 [2 per cell]
P: 0.3333 0.6667 0.2500 [2 per cell]
P: 0.3333 0.6667 0.5827 [4 per cell]

Output
calculated formation energy: -0.60 eV per atom

=====

No. 5
This record from the Materials Project database describes an optimized crystal structure of CaH16O10. The functional is PBE.

a = 6.060 Å, b = 6.368 Å, c = 11.325 Å
α = 87.79°, β = 89.75°, γ = 88.59°
Space group P1 (No. 1)
Unique sites:
Ca: 0.000 0.000 0.000 [1 per cell]
Ca: 0.008 0.999 0.485 [1 per cell]
H: 0.023 0.572 0.611 [1 per cell]
H: 0.080 0.646 0.289 [1 per cell]
H: 0.090 0.369 0.803 [1 per cell]
H: 0.167 0.255 0.202 [1 per cell]
H: 0.268 0.118 0.692 [1 per cell]
H: 0.273 0.622 0.590 [1 per cell]
H: 0.285 0.372 0.093 [1 per cell]
H: 0.286 0.833 0.205 [1 per cell]
H: 0.297 0.634 0.375 [1 per cell]
H: 0.306 0.375 0.884 [1 per cell]
H: 0.375 0.258 0.584 [1 per cell]
H: 0.375 0.296 0.378 [1 per cell]
H: 0.384 0.714 0.889 [1 per cell]
H: 0.388 0.726 0.091 [1 per cell]
H: 0.415 0.957 0.874 [1 per cell]
H: 0.432 0.063 0.345 [1 per cell]
H: 0.552 0.029 0.117 [1 per cell]
H: 0.562 0.963 0.625 [1 per cell]
-- stop --

Written answer:
2